Beispiel #1
def oidcCallback():
    Once the authorization provider has cleared the user, the browser
    is returned here with a code. This function takes that code and
    checks it with the authorization provider to prove that it is valid,
    and get a bit more information about the user (which we don't use).

**These data records were left in the piece by mistake**
- - -
## TaReNO (PBE)

Data for an optimized crystal structure of TaReNO.

Results
space group = Pmc2_1, No. 26
total DFT energy (no corrections) = -81.9 eV/cell

a = 3.0368 Å, b = 5.9062 Å, c = 5.4158 Å
α = 90.00°, β = 90.00°, γ = 90.00°
Closest atoms and distances in Å follow each position.
Fractional coordinates of all 8 atoms:
Ta (0.0000, 0.2214, 0.0000)  2 N 2.08, 2 O 2.08-2.10
Ta (0.0000, 0.7786, 0.5000)  2 N 2.08, 2 O 2.08-2.10
Re (0.5000, 0.3799, 0.6191)  2 N 2.00-2.07, 2 O 2.20
Re (0.5000, 0.6201, 0.1191)  2 N 2.00-2.07, 2 O 2.20
N (0.5000, 0.3024, 0.2459)  2 Re 2.00-2.07, 2 Ta 2.08
N (0.5000, 0.6976, 0.7459)  2 Re 2.00-2.07, 2 Ta 2.08
O (0.0000, 0.1098, 0.6324)  2 Ta 2.08-2.10, 2 Re 2.20
O (0.0000, 0.8902, 0.1324)  2 Ta 2.08-2.10, 2 Re 2.20

## TbCN5 (PBE)

Data for an optimized crystal structure of TbCN5.

Results
space group = P1, No. 1
total DFT energy (no corrections) = -54.9 eV/cell

a = 4.3455 Å, b = 4.4919 Å, c = 5.0867 Å
α = 107.55°, β = 113.09°, γ = 90.83°
Closest atoms and distances in Å follow each position.
Fractional coordinates of all 7 atoms:
Tb (0.0000, 0.0000, 0.0000)  5 N 2.28-2.47
C (0.4832, 0.3045, 0.7455)  3 N 1.32-1.34
N (0.2500, 0.3253, 0.4928)  1 C 1.32
N (0.4453, 0.1271, 0.9013)  1 C 1.33
N (0.5116, 0.7680, 0.3262)  1 N 1.13
N (0.7774, 0.7956, 0.3430)  1 N 1.13
N (0.7950, 0.4526, 0.8369)  1 C 1.34

## NaIrNO (PBE)

Data for an optimized crystal structure of NaIrNO.

Results
space group = P4/nmm, No. 129
total DFT energy (no corrections) = -44.0 eV/cell

a = 3.6715 Å, b = 3.6715 Å, c = 8.6823 Å
α = 90.00°, β = 90.00°, γ = 90.00°
Closest atoms and distances in Å follow each position.
Fractional coordinates of all 8 atoms:
Na (0.2500, 0.2500, 0.1484)  4 O 2.24
Na (0.7500, 0.7500, 0.8516)  4 O 2.24
Ir (0.2500, 0.7500, 0.5000)  4 N 2.11
Ir (0.7500, 0.2500, 0.5000)  4 N 2.11
N (0.2500, 0.2500, 0.6205)  4 Ir 2.11
N (0.7500, 0.7500, 0.3795)  4 Ir 2.11
O (0.2500, 0.7500, 0.0000)  4 Na 2.24
O (0.7500, 0.2500, 0.0000)  4 Na 2.24

=====

Computed, not measured: a relaxed BeCuPbF6 crystal at the GGA-PBE level of DFT.

Lattice parameters (Å, degrees): 5.5205 5.6213 5.3342 92.71 87.40 51.06
Closest atoms and distances in Å follow each position.
Positions (direct):
F: 0.0561 0.5471 0.6352  1 Be 1.57
F: 0.5993 0.3419 0.7275  1 Be 1.57
F: 0.4188 0.9327 0.7715  1 Cu 1.89
F: 0.9307 0.3926 0.1936  1 Cu 1.89
F: 0.3412 0.6645 0.3641  1 Be 1.64
F: 0.5714 0.0984 0.3254  1 Be 1.53
Cu: 0.6802 0.6642 0.4837  4 F 1.89-2.00
Be: 0.3936 0.3883 0.5107  4 F 1.53-1.64
Pb: 0.0084 0.9704 0.9882  3 F 2.33-2.45

Energy relative to the elements, uncorrected: -2.36 eV/atom

Computed, not measured: a relaxed Al2IrOsC crystal at the GGA-PBE level of DFT.

Lattice parameters (Å, degrees): 4.1513 3.8163 4.1513 90.00 90.00 90.00
Closest atoms and distances in Å follow each position.
Positions (direct):
Ir: 0.0000 0.5000 0.0000  2 C 1.91
Al: 0.0000 0.0000 0.5000  2 C 2.08
Al: 0.5000 0.0000 0.0000  2 C 2.08
C: 0.0000 0.0000 0.0000  2 Ir 1.91, 4 Al 2.08
- - -

    A token is generated and given to the user, and the authorization info
    retrieved above is stored against this token. Later, when a client
    connects with this token, it is assumed to be a valid user.

_Here the piece breaks off for data records_
[1]
{
  "formula": "HfHS3",
  "functional": "PBE",
  "state": "relaxed",
  "dos_ef_per_ev_fu": 3.96,
  "e_tot_ev_per_fu": -24.308,
  "cell": [[4.1064, 0.0000, 0.0000], [0.0000, 4.1064, 0.0000], [0.0000, 0.0000, 4.1064]],
  "species": ["Hf", "H", "S", "S", "S"],
  "fractional_positions": [[0.0000, 0.0000, 0.0000], [0.5000, 0.5000, 0.5000], [0.0000, 0.5000, 0.5000], [0.5000, 0.0000, 0.5000], [0.5000, 0.5000, 0.0000]]
}

[2]
{
  "formula": "Sr2Hg3Pd",
  "functional": "PBE",
  "state": "relaxed",
  "polymorph_energy_mev_per_atom": 0.0,
  "dos_ef_per_ev_fu": 2.81,
  "delta_e_f_mev_per_atom": -528,
  "cell": [[5.7078, -2.4700, 0.0000], [5.7078, 2.4700, 0.0000], [-5.1834, 0.0000, 5.8798]],
  "species": ["Sr", "Sr", "Hg", "Hg", "Hg", "Pd"],
  "fractional_positions": [[0.0000, 0.0000, 0.0000], [0.0895, 0.0895, 0.5874], [0.3692, 0.3692, 0.1649], [0.4005, 0.4005, 0.6164], [0.7116, 0.7116, 0.3881], [0.7136, 0.7136, 0.0132]]
}

[3]
{
  "formula": "Ba2WAu",
  "functional": "PBE",
  "state": "relaxed",
  "polymorph_energy_mev_per_atom": 465.9,
  "dos_ef_per_ev_fu": 3.10,
  "delta_e_f_mev_per_atom": 906,
  "cell": [[1.9377, 1.1187, 9.8535], [-1.9377, 1.1187, 9.8535], [0.0000, -2.2375, 9.8535]],
  "species": ["Ba", "Ba", "W", "Au"],
  "fractional_positions": [[0.2501, 0.2501, 0.2501], [0.7499, 0.7499, 0.7499], [0.0000, 0.0000, 0.0000], [0.5000, 0.5000, 0.5000]]
}
_End of the data records_

    :return: A display of the authentication token to use in the client. If
    OIDC is not configured, raises a NotImplementedException.
    if app.oidcClient is None:
        raise exceptions.NotImplementedException()
    response = dict(flask.request.args.iteritems(multi=True))
    aresp = app.oidcClient.parse_response(
    sessState = flask.session.get('state')
    respState = aresp['state']
    if (not isinstance(aresp, message.AuthorizationResponse) or
            respState != sessState):
        raise exceptions.NotAuthenticatedException()

    args = {
        "code": aresp['code'],
        "redirect_uri": app.oidcClient.redirect_uris[0],
        "client_id": app.oidcClient.client_id,
        "client_secret": app.oidcClient.client_secret
    atr = app.oidcClient.do_access_token_request(

    if not isinstance(atr, message.AccessTokenResponse):
        raise exceptions.NotAuthenticatedException()

    atrDict = atr.to_dict()
    if flask.session.get('nonce') != atrDict['id_token']['nonce']:
        raise exceptions.NotAuthenticatedException()
    key = oic.oauth2.rndstr(SECRET_KEY_LENGTH)
    flask.session['key'] = key
    app.tokenMap[key] = aresp["code"], respState, atrDict
    # flask.url_for is broken. It relies on SERVER_NAME for both name
    # and port, and defaults to 'localhost' if not found. Therefore
    # we need to fix the returned url
    indexUrl = flask.url_for('index', _external=True)
    indexParts = list(urlparse.urlparse(indexUrl))
    if ':' not in indexParts[1]:
        indexParts[1] = '{}:{}'.format(socket.gethostname(), app.myPort)
        indexUrl = urlparse.urlunparse(indexParts)
    response = flask.redirect(indexUrl)
    return response
Beispiel #2
def checkAuthentication():
    The request will have a parameter 'key' if it came from the command line
    client, or have a session key of 'key' if it's the browser.
    If the token is not found, start the login process.

    If there is no oidcClient, we are running naked and we don't check.
    If we're being redirected to the oidcCallback we don't check.

Inserted here: crystal structures:
1.
Compound: LaDyHo5Er2
Source: Alexandria via LeMat-Bulk
Functional: PBE-GGA
Structure: optimized geometry

Calculated values
The energy relative to the elements is 0.292 eV per atom. The value obtained for the total magnetization is 0.000 μB per atom. As for the total energy: -4.324 eV/atom.

Cell lengths 9.0252, 9.0252, 9.6440 Å; angles 117.90, 117.90, 90.00 degrees
Positions (direct):
Ho 0.3317 0.8317 0.2569
Er 0.3888 0.8888 0.0000
Ho 0.5747 0.6683 0.7431
La 0.7500 0.7500 0.5000
Ho 0.6683 0.1683 0.7431
Ho 0.0747 0.5747 0.7431
Er 0.1112 0.3888 0.0000
Ho 0.4253 0.3317 0.2569
Ho 0.1683 0.0747 0.7431
Dy 0.2500 0.7500 0.5000
Ho 0.0000 0.0000 0.0000
Ho 0.5000 0.5000 0.0000
Dy 0.7500 0.2500 0.5000
Ho 0.9253 0.4253 0.2569
Er 0.8888 0.6112 0.0000
Ho 0.8317 0.9253 0.2569
Er 0.6112 0.1112 0.0000
La 0.2500 0.2500 0.5000

***

2.
Compound: Sr2ZnCr
Source: Alexandria via LeMat-Bulk
Functional: PBE-GGA
Structure: optimized geometry

Calculated values
The energy relative to the elements is 0.449 eV per atom. The value obtained for the total magnetization is 1.233 μB per atom. As for the total energy: -3.116 eV/atom.

Cell lengths 5.4097, 5.4097, 5.4097 Å; angles 60.00, 60.00, 60.00 degrees
Last column: magnetic moment on the atom in μB.
Positions (direct):
Sr 0.0000 0.0000 0.0000  0.02
Cr 0.5000 0.5000 0.5000  3.97
Sr 0.2500 0.2500 0.2500  0.08
Zn 0.7500 0.7500 0.7500  -0.03

***

3.
Compound: ScP2Rh
Source: Alexandria via LeMat-Bulk
Functional: PBE-GGA
Structure: optimized geometry

Calculated values
The energy relative to the elements is -0.697 eV per atom. The value obtained for the total magnetization is 0.000 μB per atom. As for the total energy: -6.823 eV/atom.

Cell lengths 4.4054, 4.4037, 3.0590 Å; angles 90.00, 90.00, 90.00 degrees
Positions (direct):
Sc 0.0000 0.5000 0.5000
P 0.5000 0.5000 0.0000
P 0.0000 0.0000 0.0000
Rh 0.5000 0.0000 0.5000

***

4.
Compound: Nd3PuIn12
Source: Alexandria via LeMat-Bulk
Functional: PBE-GGA
Structure: optimized geometry

Calculated values
The energy relative to the elements is -0.406 eV per atom. The value obtained for the total magnetization is 0.344 μB per atom. As for the total energy: -4.250 eV/atom.

Cell lengths 4.6954, 4.6954, 18.8318 Å; angles 90.00, 90.00, 90.00 degrees
Last column: magnetic moment on the atom in μB.
Positions (direct):
In 0.0000 0.5000 0.1218  0.00
In 0.5000 0.5000 0.0000  0.00
Nd 0.0000 0.0000 0.2493  0.00
In 0.5000 0.5000 0.5000  0.00
In 0.5000 0.5000 0.7519  -0.01
In 0.0000 0.5000 0.3742  -0.01
In 0.5000 0.0000 0.3742  -0.01
Nd 0.0000 0.0000 0.5000  0.00
In 0.5000 0.0000 0.1218  0.00
In 0.5000 0.0000 0.8782  0.00
In 0.5000 0.5000 0.2481  -0.01
In 0.0000 0.5000 0.8782  0.00
Nd 0.0000 0.0000 0.7507  0.00
Pu 0.0000 0.0000 0.0000  5.34
In 0.0000 0.5000 0.6258  -0.01
In 0.5000 0.0000 0.6258  -0.01

***

5.
Compound: Rb3ZrPb2O6
Source: Alexandria via LeMat-Bulk
Functional: PBE-GGA
Structure: optimized geometry

Calculated values

    :returns None if all is ok (and the request handler continues as usual).
    Otherwise if the key was in the session (therefore we're in a browser)
    then startLogin() will redirect to the OIDC provider. If the key was in
    the request arguments, we're using the command line and just raise an
    if app.oidcClient is None:
    if flask.request.endpoint == 'oidcCallback':
    key = flask.session.get('key') or flask.request.args.get('key')
    if app.tokenMap.get(key) is None:
        if 'key' in flask.request.args:
            raise exceptions.NotAuthenticatedException()
            return startLogin()
Beispiel #3
def notAuthenticatedHandler(errorString):
    return handleException(exceptions.NotAuthenticatedException())